Brief >
Quote only the lines below with the word "Values" in them.

Input >
____________
(1)
ORCA calculation (ωB97M-V/def2-TZVPD) on C18H21N5O2S in the gas phase in a non-equilibrium geometry.

Each line ends with the Mulliken charge.
Element x y z (Å)
1 C 3.875 1.784 2.978  -1.535
2 C 3.082 0.765 2.220  0.675
3 C 1.862 1.094 1.649  -0.008
4 C 1.123 0.138 0.969  -1.336
5 C 1.577 -1.173 0.826  1.278
6 C 2.799 -1.488 1.404  -1.089
7 C 3.537 -0.541 2.088  -0.701
8 H 4.484 -0.819 2.526  0.435
9 H 3.178 -2.496 1.311  0.423
10 C 0.771 -2.189 0.080  -1.298
11 H 0.460 -1.805 -0.892  0.233
12 H 1.348 -3.096 -0.074  0.439
13 H -0.127 -2.442 0.643  0.258
14 N -0.113 0.516 0.393  1.074
15 C -1.376 0.273 0.866  0.341
16 N -2.272 0.764 0.053  -0.577
17 N -1.615 1.338 -0.967  -0.792
18 C -0.333 1.198 -0.771  0.657
19 C 0.736 1.653 -1.698  -0.527
20 C 0.556 1.046 -3.065  0.533
21 C 1.576 0.538 -3.786  -0.393
22 C 1.345 -0.001 -5.112  0.045
23 O 2.180 -0.481 -5.844  -0.638
24 N 0.012 0.073 -5.513  -0.032
25 C -1.057 0.559 -4.796  0.185
26 O -2.188 0.554 -5.210  -0.635
27 N -0.714 1.059 -3.558  -0.081
28 H -1.466 1.360 -2.933  0.256
29 H -0.202 -0.293 -6.434  0.224
30 H 2.586 0.520 -3.415  0.465
31 H 1.715 1.393 -1.294  0.235
32 H 0.676 2.742 -1.799  0.344
33 S -1.654 -0.558 2.357  -0.217
34 C -3.501 -0.519 2.368  0.434
35 C -4.043 -1.553 1.399  -1.308
36 H -3.713 -1.330 0.388  0.386
37 H -5.131 -1.532 1.416  0.388
38 H -3.709 -2.551 1.676  0.284
39 C -3.961 -0.755 3.795  -1.462
40 H -5.046 -0.686 3.845  0.405
41 H -3.659 -1.744 4.134  0.345
42 H -3.534 -0.014 4.468  0.387
43 H -3.760 0.486 2.030  0.355
44 H 1.472 2.099 1.733  0.482
45 H 3.601 2.793 2.681  0.373
46 H 3.683 1.681 4.047  0.290
47 H 4.941 1.642 2.815  0.401

Values from the calculation:
Gap between HOMO and LUMO ... 9.1 eV
Calculated total energy ... -41389.6686 eV
Relative energy (zero: lowest compared OMol25 entry of this formula, charge and spin) ... 0.0 kJ/mol
Structure (SMILES) ... Cc1ccc(C)c(-n2c(Cc3cc(=O)[nH]c(=O)[nH]3)nnc2SC(C)C)c1
Strongest force on any atom ... 1.109 eV/Å
Net charge ... 0



(2)
ORCA calculation (ωB97M-V/def2-TZVPD) on C18H21N7O3S3 in the gas phase in a non-equilibrium geometry.

Each line ends with the Mulliken charge.
Element x y z (Å)
1 C 3.762 3.119 -2.075  -0.843
2 C 3.604 3.496 -0.821  -0.068
3 C 2.820 2.752 0.226  -0.992
4 N 2.251 1.526 -0.253  0.409
5 C 2.815 0.281 -0.180  0.583
6 N 2.085 -0.587 -0.823  -0.150
7 N 1.023 0.064 -1.320  -0.788
8 C 1.120 1.322 -0.999  0.494
9 C 0.109 2.362 -1.316  -1.117
10 C -0.989 2.317 -0.288  0.236
11 C -0.871 2.628 1.027  -0.196
12 S -2.374 2.390 1.852  -0.203
13 C -3.053 1.861 0.315  0.479
14 N -2.224 1.885 -0.668  -0.660
15 N -4.372 1.568 0.220  -0.413
16 H -4.788 1.173 1.049  0.293
17 H -4.626 1.098 -0.636  0.287
18 H -0.021 2.988 1.570  0.390
19 H -0.337 2.133 -2.283  0.339
20 H 0.575 3.349 -1.347  0.359
21 S 4.280 -0.044 0.702  -0.207
22 C 3.878 -1.646 1.489  -0.449
23 C 3.724 -2.742 0.466  0.310
24 O 4.655 -3.277 -0.083  -0.620
25 N 2.438 -3.155 0.183  -0.034
26 C 1.241 -2.595 0.529  0.528
27 N 1.012 -1.875 1.582  -0.365
28 C -0.271 -1.453 1.650  -0.596
29 C -1.070 -1.886 0.616  1.397
30 C -2.464 -1.599 0.336  0.406
31 O -3.203 -0.928 1.026  -0.652
32 O -2.840 -2.183 -0.808  -0.268
33 C -4.178 -1.988 -1.253  -0.183
34 C -4.634 -3.232 -1.995  -1.317
35 H -3.966 -3.431 -2.828  0.319
36 H -5.642 -3.083 -2.372  0.398
37 H -4.626 -4.092 -1.330  0.327
38 H -4.814 -1.785 -0.383  0.341
39 H -4.189 -1.115 -1.916  0.218
40 S -0.155 -2.877 -0.481  -0.278
41 C -0.690 -0.608 2.797  -1.345
42 H -0.157 0.341 2.768  0.194
43 H -0.431 -1.108 3.728  0.429
44 H -1.758 -0.424 2.758  0.261
45 H 2.396 -3.797 -0.602  0.248
46 H 2.978 -1.519 2.087  0.295
47 H 4.752 -1.852 2.107  0.477
48 H 2.018 3.396 0.602  0.239
49 H 3.485 2.505 1.062  0.536
50 H 4.052 4.409 -0.453  0.396
51 H 4.340 3.704 -2.768  0.309
52 H 3.330 2.213 -2.467  0.245

Values from the calculation:
Gap between HOMO and LUMO ... 8.5 eV
Calculated total energy ... -68086.2738 eV
____________

Written answer >
Values from the calculation:
Values from the calculation: